== Given ==
~~~
[1]
# C3H2O3

An isolated molecule of C3H2O3 (wB97M-V/def2-TZVPD, the Open Molecules 2025 dataset).

Geometry (Å):
O1 -1.92 -0.06 0.99
C1 -0.89 0.53 0.81
C2 -0.10 0.33 -0.49
O2 -0.31 0.98 -1.48
C3 0.97 -0.76 -0.47
O3 1.24 -1.34 0.55
H1 -0.48 1.25 1.54
H2 1.48 -0.93 -1.44

- HOMO level: -10.0494 eV
- SMILES: O=CC(=O)C=O
- Relative energy (zero: lowest compared OMol25 entry of this formula, charge and spin): 152.7 kJ/mol
- Orbital gap: 8.85 eV
- Multiplicity: 1

[2]
# C5H15N3

An isolated molecule of C5H15N3 (wB97M-V/def2-TZVPD, the Open Molecules 2025 dataset).

Geometry (Å):
C1 -1.87 -0.78 -0.97
C2 -1.57 -1.38 1.36
N1 -1.08 -0.63 0.23
C3 0.66 -0.88 -0.08
N2 1.10 -1.44 -1.14
H1 0.80 -0.98 -2.00
H2 0.99 -1.27 0.89
H3 -2.95 -0.79 -0.77
H4 -1.62 -1.71 -1.51
H5 -1.05 -1.07 2.27
H6 -2.65 -1.22 1.54
H7 -1.43 -2.46 1.22
H8 -1.69 0.06 -1.64
C4 1.66 1.36 1.21
C5 1.09 1.63 -1.14
N3 0.82 0.91 0.10
H9 -0.28 0.79 0.33
H10 0.98 2.70 -0.99
H11 2.71 1.17 1.00
H12 1.52 2.43 1.38
H13 1.37 0.83 2.12
H14 0.39 1.32 -1.91
H15 2.10 1.41 -1.50

- HOMO level: -7.5619 eV
- Relative energy (zero: lowest compared OMol25 entry of this formula, charge and spin): 372.4 kJ/mol
- Orbital gap: 8.37 eV
- Multiplicity: 1

[3]
# C3H11NO2

A 2-piece molecular cluster, C3H11NO2 overall (wB97M-V/def2-TZVPD, the Open Molecules 2025 dataset).

Geometry (Å):
C1 1.97 0.14 2.26
C2 1.17 -0.76 1.31
N1 1.02 0.03 0.03
C3 0.47 -0.84 -1.07
O1 -0.84 -0.47 -1.34
H1 2.15 -0.42 3.18
H2 2.96 0.44 1.92
H3 1.35 0.95 2.62
H4 0.19 -0.97 1.73
H5 1.70 -1.72 1.26
H6 2.01 -0.05 -0.23
H7 1.15 -0.70 -1.92
H8 0.52 -1.89 -0.76
H9 -0.98 0.43 -1.06
O2 -3.13 1.56 -1.08
H10 -3.76 1.10 -1.62
H11 -3.68 2.14 -0.54

- HOMO level: -9.9017 eV
- SMILES: CCNCO.O
- Relative energy (zero: lowest compared OMol25 entry of this formula, charge and spin): 84.6 kJ/mol
- Orbital gap: 10.75 eV
- Multiplicity: 1

[4]
# C19H24MnN7OSSe

C19H24MnN7OSSe as an isolated structure (wB97M-V/def2-TZVPD, the Open Molecules 2025 dataset).

Geometry (Å):
Mn1 -1.59 -0.03 -0.69
C1 -3.25 -2.47 -3.81
C2 -2.78 -1.83 -2.55
N1 -1.87 -0.93 -2.46
N2 -1.20 -0.48 -3.57
C3 -0.59 0.73 -3.49
N3 0.03 1.16 -4.56
S1 -0.65 1.65 -2.06
C4 -3.37 -2.21 -1.23
C5 -4.27 -3.23 -1.08
C6 -4.76 -3.51 0.20
C7 -4.33 -2.75 1.26
C8 -3.41 -1.73 1.03
N4 -2.95 -1.48 -0.18
H1 -2.91 -1.97 -4.71
H2 -4.34 -2.46 -3.83
H3 -2.93 -3.51 -3.85
H4 -1.23 -1.02 -4.42
H5 0.06 0.66 -5.43
H6 0.50 2.06 -4.53
H7 -4.59 -3.82 -1.93
H8 -5.48 -4.31 0.35
H9 -4.69 -2.93 2.27
H10 -3.05 -1.10 1.83
C9 1.41 3.27 2.36
C10 2.14 2.03 2.86
N5 3.36 1.71 2.11
C11 4.52 2.61 2.26
C12 4.76 3.51 1.05
C13 3.55 0.61 1.36
O1 4.61 0.31 0.83
C14 2.40 -0.33 1.11
C15 2.57 -1.68 1.40
C16 1.56 -2.57 1.08
C17 0.44 -2.10 0.45
N6 0.28 -0.80 0.12
C18 1.25 0.06 0.47
H11 0.52 3.45 2.96
H12 1.11 3.15 1.31
H13 2.05 4.15 2.43
H14 1.47 1.17 2.84
H15 2.42 2.16 3.91
H16 5.40 2.00 2.43
H17 4.34 3.21 3.15
H18 4.96 2.90 0.17
H19 5.62 4.15 1.23
H20 3.90 4.15 0.85
H21 3.49 -2.01 1.87
H22 1.65 -3.63 1.31
H23 -0.37 -2.77 0.17
H24 1.10 1.10 0.21
Se1 -2.69 2.83 2.87
C19 -2.24 1.81 1.58
N7 -1.92 1.05 0.70

- HOMO level (alpha / beta): -13.6344 / -13.6332 eV
- Relative energy (zero: lowest compared OMol25 entry of this formula, charge and spin): 0.0 kJ/mol
- Orbital gap (alpha / beta): 6.15 / 5.89 eV
- Multiplicity: 5
- Net charge: +2

[5]
# C3H7N2O

A 2-piece molecular cluster, C3H7N2O overall (wB97M-V/def2-TZVPD, the Open Molecules 2025 dataset).

Geometry (Å):
C1 -0.58 -0.56 0.11
C2 -1.20 0.64 0.40
N1 -0.34 1.40 1.13
C3 0.78 0.72 1.37
N2 0.55 -0.51 0.92
H1 -0.79 -1.40 -0.51
H2 -2.23 0.90 0.27
H3 -0.60 2.33 1.46
H4 1.66 1.07 1.88
H5 1.29 -1.19 1.05
H6 0.97 -0.69 -3.11
H7 0.18 -1.83 -2.49
O1 0.30 -0.88 -2.47

- HOMO level: -14.3702 eV
- Relative energy (zero: lowest compared OMol25 entry of this formula, charge and spin): 56.6 kJ/mol
- Orbital gap: 11.05 eV
- Multiplicity: 1
- Net charge: +1

[6]
# C5H8O

An isolated molecule of C5H8O (wB97M-V/def2-TZVPD, the Open Molecules 2025 dataset).

Geometry (Å):
C1 1.58 0.47 0.46
~~~

== Wanted ==
It remains to find "Mn1 -1.59" and "-14.3702 eV" in the lines above, and duplicate these two lines and those between.

== Reply ==
Mn1 -1.59 -0.03 -0.69
C1 -3.25 -2.47 -3.81
C2 -2.78 -1.83 -2.55
N1 -1.87 -0.93 -2.46
N2 -1.20 -0.48 -3.57
C3 -0.59 0.73 -3.49
N3 0.03 1.16 -4.56
S1 -0.65 1.65 -2.06
C4 -3.37 -2.21 -1.23
C5 -4.27 -3.23 -1.08
C6 -4.76 -3.51 0.20
C7 -4.33 -2.75 1.26
C8 -3.41 -1.73 1.03
N4 -2.95 -1.48 -0.18
H1 -2.91 -1.97 -4.71
H2 -4.34 -2.46 -3.83
H3 -2.93 -3.51 -3.85
H4 -1.23 -1.02 -4.42
H5 0.06 0.66 -5.43
H6 0.50 2.06 -4.53
H7 -4.59 -3.82 -1.93
H8 -5.48 -4.31 0.35
H9 -4.69 -2.93 2.27
H10 -3.05 -1.10 1.83
C9 1.41 3.27 2.36
C10 2.14 2.03 2.86
N5 3.36 1.71 2.11
C11 4.52 2.61 2.26
C12 4.76 3.51 1.05
C13 3.55 0.61 1.36
O1 4.61 0.31 0.83
C14 2.40 -0.33 1.11
C15 2.57 -1.68 1.40
C16 1.56 -2.57 1.08
C17 0.44 -2.10 0.45
N6 0.28 -0.80 0.12
C18 1.25 0.06 0.47
H11 0.52 3.45 2.96
H12 1.11 3.15 1.31
H13 2.05 4.15 2.43
H14 1.47 1.17 2.84
H15 2.42 2.16 3.91
H16 5.40 2.00 2.43
H17 4.34 3.21 3.15
H18 4.96 2.90 0.17
H19 5.62 4.15 1.23
H20 3.90 4.15 0.85
H21 3.49 -2.01 1.87
H22 1.65 -3.63 1.31
H23 -0.37 -2.77 0.17
H24 1.10 1.10 0.21
Se1 -2.69 2.83 2.87
C19 -2.24 1.81 1.58
N7 -1.92 1.05 0.70

- HOMO level (alpha / beta): -13.6344 / -13.6332 eV
- Relative energy (zero: lowest compared OMol25 entry of this formula, charge and spin): 0.0 kJ/mol
- Orbital gap (alpha / beta): 6.15 / 5.89 eV
- Multiplicity: 5
- Net charge: +2

[5]
# C3H7N2O

A 2-piece molecular cluster, C3H7N2O overall (wB97M-V/def2-TZVPD, the Open Molecules 2025 dataset).

Geometry (Å):
C1 -0.58 -0.56 0.11
C2 -1.20 0.64 0.40
N1 -0.34 1.40 1.13
C3 0.78 0.72 1.37
N2 0.55 -0.51 0.92
H1 -0.79 -1.40 -0.51
H2 -2.23 0.90 0.27
H3 -0.60 2.33 1.46
H4 1.66 1.07 1.88
H5 1.29 -1.19 1.05
H6 0.97 -0.69 -3.11
H7 0.18 -1.83 -2.49
O1 0.30 -0.88 -2.47

- HOMO level: -14.3702 eV